**Activity:**
It remains to find "data_Rb2CeTiS5" and "data_RbCeUS4" in the material below, and copy these two lines and those between.

**Source:**
'''
No. 1
An optimized crystal structure of Rb2CeTiS5. Source: Alexandria, functional PBE.

Summary:
- Uncorrected formation energy: -1.43 eV/atom

```
data_Rb2CeTiS5
_chemical_formula_sum 'Rb4 Ce2 Ti2 S10'
_space_group_name_H-M_alt 'P 1'
_space_group_IT_number 1
_cell_length_a 9.777
_cell_length_b 9.777
_cell_length_c 14.194
_cell_angle_alpha 90.00
_cell_angle_beta 90.00
_cell_angle_gamma 155.32
loop_
_space_group_symop_operation_xyz
'x,y,z'
loop_
_atom_site_label
_atom_site_fract_x
_atom_site_fract_y
_atom_site_fract_z
Rb1 0.121 0.879 0.500
Rb2 0.131 0.869 0.152
Rb3 0.869 0.131 0.652
Rb4 0.879 0.121 0.000
Ce1 0.204 0.796 0.854
Ce2 0.796 0.204 0.354
Ti1 0.439 0.561 0.248
Ti2 0.561 0.439 0.748
S1 0.048 0.952 0.827
S2 0.306 0.694 0.472
S3 0.322 0.678 0.215
S4 0.333 0.667 0.828
S5 0.493 0.507 0.115
S6 0.507 0.493 0.615
S7 0.667 0.333 0.328
S8 0.678 0.322 0.715
S9 0.694 0.306 0.972
S10 0.952 0.048 0.327
```



No. 2
An optimized crystal structure of Rb3Ce2TlS6. Source: Alexandria, functional PBE.

Summary:
- Uncorrected formation energy: -1.43 eV/atom

```
data_Rb3Ce2TlS6
_chemical_formula_sum 'Rb3 Ce2 Tl1 S6'
_space_group_name_H-M_alt 'P 1'
_space_group_IT_number 1
_cell_length_a 9.951
_cell_length_b 9.951
_cell_length_c 9.189
_cell_angle_alpha 104.96
_cell_angle_beta 104.96
_cell_angle_gamma 24.65
loop_
_space_group_symop_operation_xyz
'x,y,z'
loop_
_atom_site_label
_atom_site_fract_x
_atom_site_fract_y
_atom_site_fract_z
Rb1 0.000 0.000 0.000
Rb2 0.347 0.347 0.660
Rb3 0.653 0.653 0.340
Ce1 0.331 0.331 0.166
Ce2 0.669 0.669 0.834
Tl1 0.000 0.000 0.500
S1 0.174 0.174 0.644
S2 0.180 0.180 0.047
S3 0.469 0.469 0.240
S4 0.531 0.531 0.760
S5 0.820 0.820 0.953
S6 0.826 0.826 0.356
```



No. 3
An optimized crystal structure of Rb2CeTm2S6. Source: Alexandria, functional PBE.

Summary:
- Uncorrected formation energy: -1.85 eV/atom

```
data_Rb2CeTm2S6
_chemical_formula_sum 'Rb2 Ce1 Tm2 S6'
_space_group_name_H-M_alt 'P 1'
_space_group_IT_number 1
_cell_length_a 6.947
_cell_length_b 6.947
_cell_length_c 8.188
_cell_angle_alpha 98.17
_cell_angle_beta 98.17
_cell_angle_gamma 120.08
loop_
_space_group_symop_operation_xyz
'x,y,z'
loop_
_atom_site_label
_atom_site_fract_x
_atom_site_fract_y
_atom_site_fract_z
Rb1 0.167 0.833 0.000
Rb2 0.833 0.167 0.000
Ce1 0.000 0.000 0.500
Tm1 0.334 0.666 0.500
Tm2 0.666 0.334 0.500
S1 0.060 0.397 0.685
S2 0.272 0.272 0.315
S3 0.397 0.060 0.685
S4 0.603 0.940 0.315
S5 0.728 0.728 0.685
S6 0.940 0.603 0.315
```



No. 4
An optimized crystal structure of Rb2Ce2TmS6. Source: Alexandria, functional PBE.

Summary:
- Uncorrected formation energy: -1.84 eV/atom

```
data_Rb2Ce2TmS6
_chemical_formula_sum 'Rb2 Ce2 Tm1 S6'
_space_group_name_H-M_alt 'P 1'
_space_group_IT_number 1
_cell_length_a 7.092
_cell_length_b 7.092
_cell_length_c 8.159
_cell_angle_alpha 98.31
_cell_angle_beta 98.31
_cell_angle_gamma 119.80
loop_
_space_group_symop_operation_xyz
'x,y,z'
loop_
_atom_site_label
_atom_site_fract_x
_atom_site_fract_y
_atom_site_fract_z
Rb1 0.167 0.833 0.000
Rb2 0.833 0.167 0.000
Ce1 0.334 0.666 0.500
Ce2 0.666 0.334 0.500
Tm1 0.000 0.000 0.500
S1 0.059 0.389 0.686
S2 0.262 0.262 0.314
S3 0.389 0.059 0.686
S4 0.611 0.941 0.314
S5 0.738 0.738 0.686
S6 0.941 0.611 0.314
```



No. 5
An optimized crystal structure of RbCeUS4. Source: Alexandria, functional PBE.

Summary:
- Uncorrected formation energy: -1.57 eV/atom

```
data_RbCeUS4
_chemical_formula_sum 'Rb2 Ce2 U2 S8'
_space_group_name_H-M_alt 'P 1'
_space_group_IT_number 1
_cell_length_a 8.574
_cell_length_b 8.574
_cell_length_c 8.574
_cell_angle_alpha 121.21
_cell_angle_beta 118.62
_cell_angle_gamma 90.16
loop_
_space_group_symop_operation_xyz
'x,y,z'
loop_
_atom_site_label
_atom_site_fract_x
_atom_site_fract_y
_atom_site_fract_z
Rb1 0.381 0.131 0.250
Rb2 0.619 0.869 0.750
Ce1 0.000 0.500 0.500
Ce2 0.500 0.500 0.000
U1 0.000 0.000 0.500
U2 0.000 0.500 0.000
S1 0.183 0.733 0.450
S2 0.216 0.267 0.950
S3 0.223 0.261 0.538
S4 0.223 0.685 0.962
S5 0.777 0.315 0.038
'''

**Here it is:**
data_Rb2CeTiS5
_chemical_formula_sum 'Rb4 Ce2 Ti2 S10'
_space_group_name_H-M_alt 'P 1'
_space_group_IT_number 1
_cell_length_a 9.777
_cell_length_b 9.777
_cell_length_c 14.194
_cell_angle_alpha 90.00
_cell_angle_beta 90.00
_cell_angle_gamma 155.32
loop_
_space_group_symop_operation_xyz
'x,y,z'
loop_
_atom_site_label
_atom_site_fract_x
_atom_site_fract_y
_atom_site_fract_z
Rb1 0.121 0.879 0.500
Rb2 0.131 0.869 0.152
Rb3 0.869 0.131 0.652
Rb4 0.879 0.121 0.000
Ce1 0.204 0.796 0.854
Ce2 0.796 0.204 0.354
Ti1 0.439 0.561 0.248
Ti2 0.561 0.439 0.748
S1 0.048 0.952 0.827
S2 0.306 0.694 0.472
S3 0.322 0.678 0.215
S4 0.333 0.667 0.828
S5 0.493 0.507 0.115
S6 0.507 0.493 0.615
S7 0.667 0.333 0.328
S8 0.678 0.322 0.715
S9 0.694 0.306 0.972
S10 0.952 0.048 0.327
```



No. 2
An optimized crystal structure of Rb3Ce2TlS6. Source: Alexandria, functional PBE.

Summary:
- Uncorrected formation energy: -1.43 eV/atom

```
data_Rb3Ce2TlS6
_chemical_formula_sum 'Rb3 Ce2 Tl1 S6'
_space_group_name_H-M_alt 'P 1'
_space_group_IT_number 1
_cell_length_a 9.951
_cell_length_b 9.951
_cell_length_c 9.189
_cell_angle_alpha 104.96
_cell_angle_beta 104.96
_cell_angle_gamma 24.65
loop_
_space_group_symop_operation_xyz
'x,y,z'
loop_
_atom_site_label
_atom_site_fract_x
_atom_site_fract_y
_atom_site_fract_z
Rb1 0.000 0.000 0.000
Rb2 0.347 0.347 0.660
Rb3 0.653 0.653 0.340
Ce1 0.331 0.331 0.166
Ce2 0.669 0.669 0.834
Tl1 0.000 0.000 0.500
S1 0.174 0.174 0.644
S2 0.180 0.180 0.047
S3 0.469 0.469 0.240
S4 0.531 0.531 0.760
S5 0.820 0.820 0.953
S6 0.826 0.826 0.356
```



No. 3
An optimized crystal structure of Rb2CeTm2S6. Source: Alexandria, functional PBE.

Summary:
- Uncorrected formation energy: -1.85 eV/atom

```
data_Rb2CeTm2S6
_chemical_formula_sum 'Rb2 Ce1 Tm2 S6'
_space_group_name_H-M_alt 'P 1'
_space_group_IT_number 1
_cell_length_a 6.947
_cell_length_b 6.947
_cell_length_c 8.188
_cell_angle_alpha 98.17
_cell_angle_beta 98.17
_cell_angle_gamma 120.08
loop_
_space_group_symop_operation_xyz
'x,y,z'
loop_
_atom_site_label
_atom_site_fract_x
_atom_site_fract_y
_atom_site_fract_z
Rb1 0.167 0.833 0.000
Rb2 0.833 0.167 0.000
Ce1 0.000 0.000 0.500
Tm1 0.334 0.666 0.500
Tm2 0.666 0.334 0.500
S1 0.060 0.397 0.685
S2 0.272 0.272 0.315
S3 0.397 0.060 0.685
S4 0.603 0.940 0.315
S5 0.728 0.728 0.685
S6 0.940 0.603 0.315
```



No. 4
An optimized crystal structure of Rb2Ce2TmS6. Source: Alexandria, functional PBE.

Summary:
- Uncorrected formation energy: -1.84 eV/atom

```
data_Rb2Ce2TmS6
_chemical_formula_sum 'Rb2 Ce2 Tm1 S6'
_space_group_name_H-M_alt 'P 1'
_space_group_IT_number 1
_cell_length_a 7.092
_cell_length_b 7.092
_cell_length_c 8.159
_cell_angle_alpha 98.31
_cell_angle_beta 98.31
_cell_angle_gamma 119.80
loop_
_space_group_symop_operation_xyz
'x,y,z'
loop_
_atom_site_label
_atom_site_fract_x
_atom_site_fract_y
_atom_site_fract_z
Rb1 0.167 0.833 0.000
Rb2 0.833 0.167 0.000
Ce1 0.334 0.666 0.500
Ce2 0.666 0.334 0.500
Tm1 0.000 0.000 0.500
S1 0.059 0.389 0.686
S2 0.262 0.262 0.314
S3 0.389 0.059 0.686
S4 0.611 0.941 0.314
S5 0.738 0.738 0.686
S6 0.941 0.611 0.314
```



No. 5
An optimized crystal structure of RbCeUS4. Source: Alexandria, functional PBE.

Summary:
- Uncorrected formation energy: -1.57 eV/atom

```
data_RbCeUS4